Bush Tucker in Indigenous Artwork

As talked about in our previous article “Learn About the Amazing Foods that the Australian Bush has to Offer” for thousands of years First Nations people have gathered and prepared native fruits, vegetables, herbs and seeds. Bush Tucker is a way in which Indigenous peoples continue to connect with Country, and artwork serves as an important expression of this. These artworks tell stories of different bush foods, how they are gathered and eaten. Art is one of the key ways that this important knowledge is passed on from generation to generation (Utopia Lane Gallery, 2021).

Alpar Seed Story by Maggie Bird. Courtesy of Utopia Lane Gallery, 2021.

Bush foods are depicted in a number of different ways through Indigenous artworks. Sometimes this is in more abstract forms through the use of symbols, this is particularly when the painting is connected to a Dreamtime story in which the designs are also influenced by song, dance and interconnecting Dreamtime stories. Symbols used often represent the tools used to collect the bush foods. These include coolamons (carved wooden bowls) which are depicted as oval shapes, digging sticks which are shown as straight lines and concentric circles which often show the site where the bush tucker is being collected. Many paintings will also feature tracks in the sand the women leave behind. For children, paintings of bush tucker are an excellent introduction to learning how to “read” an artwork, meaning to understand its story from the symbols presented (Central Art, 2021) .

Bush Tomato by Marie Ryder. Courtesy of Utopia Land Gallery, 2021.

While symbolism within Indigneous artworks is common, bush tucker is also often illustrated in its natural form. These kinds of paintings show the true shapes and colours of fruits, herbs and insects. The artworks will often also show women collecting the foods and going about their daily rituals. Collecting bush tucker is a common subject that many Utopian artists and other Central Australian Aboriginal artists paint. An example of this is the artwork above “Wild Tomato” by Marie Ryder. This artwork depicts women collecting awele awele (wild tomato). The U shapes represent the women sitting, they have their digging sticks on one side and a decoratively carved coolamon (wooden bowl) on the other side. Awele awele grows commonly throughout Central Australia. It produces beautiful purple flowers and grey leaves. Once collected Indigneous people eat them raw or cook them in the hot earth by the fire (Utopia Lane Gallery, 2021).

Bush Plum by Polly Ngale. Courtesy of Kate Owen Gallery, 2021.

As talked about earlier bush tucker can often also form a key part of Dreamtime stories. Bush Plum Dreaming is a key Dreamtime story from the Anmatyerre people of the Northern Territory. This important food source is harvested by shaking the trees until the fruits fall to the ground, they are then soaked in water to soften them for eating. The painting above is by Polly Ngale, it depicts bush plums through a blend of Dub Dub technique (coined by Emily Kame Kngwarreye) and her own unique large dotting technique. Bush Plum Dreaming is also a common story within the Utopian region. Bush Plum because of its significance as a food source is also a totem for many Indigenous people. Artists will often depict the fruit at different stages of ripeness through different styles and colours. In contemporary times painting gives these women a way of educating everyone about the significance of this Dreaming story (Central Art, 2021). 

~~~
No. 1
Below is 2 unconnected molecules or ions with the total composition C19H14Cl2N4O2 at a distorted geometry, with properties calculated with ωB97M-V with the def2-TZVPD basis set.

```
41
C19H14Cl2N4O2 | the Open Molecules 2025 dataset | ωB97M-V with the def2-TZVPD basis set
N 3.03 2.13 -2.68
C 2.67 1.15 -2.15
C 2.21 -0.05 -1.52
C 1.20 -0.79 -2.07
C 0.75 -0.61 -3.40
N 0.38 -0.53 -4.51
C 0.57 -1.94 -1.39
O -0.47 -2.43 -1.82
C 1.27 -2.40 -0.16
Cl 0.64 -3.81 0.56
C 2.31 -1.70 0.39
Cl 3.00 -2.17 1.86
C 2.87 -0.47 -0.25
O 3.82 0.15 0.22
C -1.67 0.80 -0.99
N -0.68 0.97 -1.86
C -0.80 1.87 -2.82
C -1.92 2.69 -2.96
C -2.94 2.58 -1.99
C -2.81 1.61 -0.97
C -3.86 1.49 0.08
C -5.16 2.25 -0.23
C -4.89 3.57 -0.92
N -4.05 3.40 -2.07
C -4.02 4.58 -2.90
C -3.40 4.30 -4.25
C -2.02 3.63 -4.10
H -1.54 -0.03 -0.29
H 0.01 1.93 -3.56
H -3.45 1.88 1.03
H -4.09 0.42 0.26
H -5.71 2.45 0.70
H -5.80 1.62 -0.86
H -4.42 4.28 -0.20
H -5.83 4.02 -1.27
H -3.45 5.38 -2.39
H -5.06 4.92 -3.02
H -3.27 5.25 -4.78
H -4.04 3.66 -4.86
H -1.76 3.10 -5.03
H -1.26 4.42 -3.97
```

Values from the calculation:
Kohn-Sham gap, eV: 5.530

The Löwdin scheme yields these atomic charges, measured in e: 0.205 -0.138 -0.087 -0.107 -0.178 0.230 -0.355 0.124 -0.598 0.771 -0.595 0.779 -0.337 0.112 -0.074 0.039 -0.094 -0.124 -0.103 -0.123 -0.145 -0.164 -0.180 -0.092 -0.176 -0.163 -0.144 0.121 0.111 0.124 0.121 0.112 0.120 0.138 0.123 0.138 0.123 0.112 0.120 0.126 0.128

=====

No. 2
Below is a molecular structure, C3H8F9KO13S3 at a distorted geometry, with properties calculated with ωB97M-V with the def2-TZVPD basis set.

```
37
C3H8F9KO13S3 | the Open Molecules 2025 dataset | ωB97M-V with the def2-TZVPD basis set
K -16.37 -0.70 -13.83
C -19.65 -3.30 -15.79
F -20.38 -2.50 -14.97
F -20.43 -4.15 -16.50
F -18.84 -2.55 -16.65
S -18.59 -4.28 -14.52
O -17.61 -5.09 -15.29
O -17.82 -3.21 -13.85
O -19.56 -5.11 -13.77
C -13.45 -0.84 -9.40
F -12.51 -1.06 -10.28
F -14.10 -2.01 -9.07
F -13.02 -0.32 -8.27
S -14.68 0.48 -10.08
O -15.33 -0.08 -11.31
O -15.65 0.71 -9.02
O -13.90 1.65 -10.31
C -12.23 -0.59 -14.30
F -13.47 -0.32 -13.87
F -11.88 -1.80 -13.82
F -12.21 -0.53 -15.65
S -11.09 0.82 -13.71
O -10.80 0.68 -12.31
O -9.88 0.57 -14.51
O -11.88 2.04 -14.06
O -16.09 2.23 -13.33
H -15.61 3.05 -13.46
H -16.38 2.27 -12.42
O -17.69 0.95 -15.93
H -18.48 1.40 -15.61
H -17.53 1.34 -16.79
O -15.66 -2.44 -15.95
H -16.29 -2.98 -15.47
H -15.97 -2.45 -16.86
O -15.17 -3.15 -13.08
H -14.90 -3.18 -12.16
H -15.06 -4.05 -13.39
```

Values from the calculation:
Spin multiplicity: 2
Kohn-Sham gap (alpha / beta), eV: 8.234 / 3.345
Charge: -1

The Löwdin scheme yields these atomic charges, measured in e: 0.849 -0.555 0.082 0.111 0.066 0.542 -0.372 -0.407 -0.335 -0.652 0.142 0.084 0.138 0.484 -0.444 -0.338 -0.332 -0.591 0.106 0.151 0.134 0.605 -0.112 -0.157 -0.149 -0.075 0.042 0.036 -0.067 0.042 0.041 -0.093 -0.032 0.042 -0.085 0.046 0.052

=====

No. 3
~~~

Bush Potato by Alicka Napanangka Brown (Warlukurlangu Artists) 

Here at Yarn we have a number of products which feature beautiful artworks showcasing bush foods. The artwork Bush Potato by Warlu Artist Alicka Napanangka Brown tells a story about collecting “Yarla” Bush Potatoes by the creek. These edible tubers grow from the roots of the plant and when cooked that they are soft and tasty. As seen through all of these beautiful artworks Bush Foods form a crucial part of Indigenous culture, both as an important part of everyday life and Dreaming stories.